Monday 13th July
Welcome to Year 6!
Dear Year 5 (soon to be Year 6!),
We are so excited to welcome you to Year 6! We have heard wonderful things about you and can’t wait to meet you all properly in September. In this letter, we will explain some of the key events which will take place in Year 6 and try and tell you a little bit about ourselves as well. There is also a PowerPoint below which gives you information about Year 6, so you might want to give that a quick read as well!
### These materials data were left in the entry by mistake
=====
Compound: CrCu2Pt
Source: Alexandria via LeMat-Bulk
Functional: GGA-PBEsol
Structure: relaxed

Properties
V: 12.5 Å³/atom
energy: -25.247 eV/cell
DOS(E_F): 3.30 states/eV/f.u.
energy of formation: 60.5 kJ/mol of formula units
calculated density: 12.43 Mg/m³

Unit cell a=2.598 b=2.598 c=8.684 alpha=81.40 beta=81.40 gamma=60.00
Fractional positions:
Cu: 0.747 0.747 0.759
Cu: 0.253 0.253 0.241
Pt: 0.500 0.500 0.500
Cr: 0.000 0.000 0.000



Compound: CrCuPt2
Source: Alexandria via LeMat-Bulk
Functional: GGA-PBEsol
Structure: relaxed

Properties
V: 13.6 Å³/atom
energy: -28.966 eV/cell
DOS(E_F): 3.13 states/eV/f.u.
energy of formation: -44.7 kJ/mol of formula units
calculated density: 15.43 Mg/m³

Unit cell a=2.754 b=4.538 c=4.538 alpha=106.40 beta=90.00 gamma=90.00
Site moments in Bohr magnetons follow the coordinates.
Fractional positions:
Pt: 0.000 0.500 0.000  0.10
Cr: 0.500 0.000 0.000  2.66
Pt: 0.000 0.000 0.500  0.05
Cu: 0.500 0.500 0.500  0.05

* * * * *

Record 1
First-principles (PBE-GGA) data for a relaxed LaP2AuS8 crystal, as listed in the Alexandria database.

Cell and atoms, written as POSCAR:
```
LaP2AuS8
1.0
6.411 0.000 0.000
-3.205 5.552 0.000
0.000 0.000 8.929
S P Au La
8 2 1 1
direct
0.842 0.158 0.227 S
0.316 0.158 0.227 S
0.684 0.842 0.773 S
0.333 0.667 0.474 S
0.667 0.333 0.526 S
0.158 0.316 0.773 S
0.842 0.684 0.227 S
0.158 0.842 0.773 S
0.667 0.333 0.301 P
0.333 0.667 0.699 P
0.000 0.000 0.000 Au
0.000 0.000 0.500 La
```

Values from the calculation:
ΔE_f (raw) = -0.33 eV/atom
symmetry = P-3m1 (164)
calculated density = 3.42 Mg/m³

Record 2
First-principles (PBE-GGA) data for a relaxed LaScP2Au crystal, as listed in the Alexandria database.

Cell and atoms, written as POSCAR:
```
LaScP2Au
1.0
4.964 0.000 0.000
0.000 5.377 0.000
0.000 0.000 4.964
P La Sc Au
2 1 1 1
direct
0.000 0.000 0.500 P
0.500 0.000 0.000 P
0.000 0.500 0.000 La
0.500 0.500 0.500 Sc
0.000 0.000 0.000 Au
```

Values from the calculation:
E_tot = -4.68 eV/atom
symmetry = P4/mmm (123)
calculated density = 5.55 Mg/m³

Record 3
First-principles (PBE-GGA) data for a relaxed La4PAuSe2 crystal, as listed in the Alexandria database.

Cell and atoms, written as POSCAR:
```
La4PAuSe2
1.0
-1.854 -0.803 3.783
0.209 -7.358 -1.458
6.511 -2.822 2.592
P Au La Se
1 1 4 2
direct
0.000 0.500 0.500 P
0.500 0.500 0.000 Au
0.500 0.742 0.264 La
0.500 0.258 0.736 La
0.000 0.749 0.740 La
0.000 0.251 0.260 La
0.000 0.000 0.000 Se
0.500 0.000 0.500 Se
```

Values from the calculation:
ΔE_f (raw) = -1.57 eV/atom
symmetry = P2/m (10)
calculated density = 6.80 Mg/m³

Record 4
First-principles (PBE-GGA) data for a relaxed La4Te2PAu crystal, as listed in the Alexandria database.

Cell and atoms, written as POSCAR:
```
La4Te2PAu
1.0
4.384 0.000 0.000
0.000 7.779 0.177
0.000 -2.677 7.331
La Te Au P
4 2 1 1
direct
0.500 0.229 0.224 La
0.000 0.752 0.229 La
0.000 0.248 0.771 La
0.500 0.771 0.776 La
0.000 0.500 0.500 Te
0.500 0.000 0.500 Te
0.500 0.500 0.000 Au
0.000 0.000 0.000 P
```
=====
Miss Facey has been teaching for 8 years and has been a Year 6 teacher for 4 years. She loves English, especially creative writing, and is looking forward to reading all of your writing in September. Her interests include looking after her naughty kitten, reading and watching Netflix.
Inserted here: records of crystals:
____________
DFT (PBE-GGA) results for crystalline Li2MoAu at its relaxed geometry.

Cell lengths 2.8174, 2.8174, 29.2556 Å; angles 90.00, 90.00, 120.00 degrees
Last column: nearest neighbours and their distance in Å.
Space group R3m (No. 160, hexagonal axes)
Asymmetric unit:
Li (0.0000, 0.0000, 0.0000) x3  3 Au 2.75, 6 Li 2.82
Li (0.0000, 0.0000, 0.2425) x3  9 Li 2.82-3.12, 3 Mo 2.93
Mo (0.0000, 0.0000, 0.4923) x3  6 Mo 2.82, 3 Au 2.92, 3 Li 2.93
Au (0.0000, 0.0000, 0.7426) x3  3 Li 2.75, 6 Au 2.82, 3 Mo 2.92

- calculated formation energy (meV/atom) = 196

~~~~~

1.
The following is a DFT calculation (PBE) of a geometry-optimized Zr2AgCl structure. Values from VASP.

```
&SYSTEM
  ibrav = 0, nat = 4, ntyp = 3
/
ATOMIC_SPECIES
Zr 91.22 Zr.upf
Cl 35.45 Cl.upf
Ag 107.87 Ag.upf
CELL_PARAMETERS angstrom
-2.9916 4.8462 0.9964
-5.2500 -0.9685 2.2199
5.7396 -0.3372 0.6091
ATOMIC_POSITIONS crystal
Zr 0.4721 0.4721 0.0000
Zr 0.0279 0.0279 0.0000
Cl 0.2500 0.7500 0.5000
Ag 0.7500 0.2500 0.5000
```

**Final energy**: -5.577 eV per atom
**Total magnetic moment**: 0.0 μB/cell
**Formation energy without anion corrections**: -0.128 eV/atom
**Space group**: Immm

2.
The following is a DFT calculation (PBE) of a geometry-optimized P3PbCl structure. Values from VASP.

```
&SYSTEM
  ibrav = 0, nat = 5, ntyp = 3
/
ATOMIC_SPECIES
Cl 35.45 Cl.upf
P 30.97 P.upf
Pb 207.20 Pb.upf
CELL_PARAMETERS angstrom
5.3926 0.0000 0.0000
0.0000 5.3926 0.0000
0.0000 0.0000 5.3926
ATOMIC_POSITIONS crystal
Cl 0.5000 0.5000 0.5000
P 0.5000 0.0000 0.0000
P 0.0000 0.5000 0.0000
P 0.0000 0.0000 0.5000
Pb 0.0000 0.0000 0.0000
```

**Final energy**: -2.899 eV per atom
**Total magnetic moment**: 4.2 μB/cell
**Formation energy without anion corrections**: 1.458 eV/atom
**Space group**: Pm-3m

3.
The following is a DFT calculation (PBE) of a geometry-optimized TmGaNiRu structure. Values from VASP.

```
&SYSTEM
  ibrav = 0, nat = 4, ntyp = 4
/
ATOMIC_SPECIES
Tm 168.93 Tm.upf
Ga 69.72 Ga.upf
Ru 101.07 Ru.upf
Ni 58.69 Ni.upf
CELL_PARAMETERS angstrom
-0.5590 -4.3208 -0.9820
1.4124 -3.1379 2.8469
-2.9628 -2.4430 2.2802
ATOMIC_POSITIONS crystal
Tm 0.5000 0.5000 0.5000
Ga 0.0000 0.0000 0.0000
Ru 0.7500 0.7500 0.7500
Ni 0.2500 0.2500 0.2500
```

**Energy relative to the elements**: -0.42 eV/atom
**Final energy**: -6.060 eV per atom
**Total magnetic moment**: 0.0 μB/cell
**Space group**: F-43m

4.
The following is a DFT calculation (PBE) of a geometry-optimized PmEr4Tm2Th structure. Values from VASP.

```
&SYSTEM
  ibrav = 0, nat = 16, ntyp = 4
/
ATOMIC_SPECIES
Th 232.04 Th.upf
Tm 168.93 Tm.upf
Er 167.26 Er.upf
Pm 145.00 Pm.upf
CELL_PARAMETERS angstrom
9.2717 -0.0514 -1.7525
-0.0579 9.2728 -1.7523
-5.8561 -5.8608 8.2650
ATOMIC_POSITIONS crystal
Th 0.0000 0.5000 0.5000
Th 0.0000 0.5000 0.0000
Tm 0.5000 0.0000 0.5000
Tm 0.0000 0.0000 0.5000
Tm 0.5000 0.5000 0.0000
Tm 0.5000 0.0000 0.0000
Er 0.2543 0.2485 0.9986
Er 0.7486 0.7544 0.4987
Er 0.2429 0.7509 0.4970
Er 0.2509 0.7429 0.9970
Er 0.7457 0.7515 0.0014
____________
So much for the records of crystals:
Mr Catchpole has been teaching for 11 years and has spent 6 years teaching Year 6. He enjoys teaching maths and hopes that he can persuade everybody to share his enthusiasm for the subject! In his spare time, he enjoys travelling, going the cinema and reading Harry Potter repeatedly.
You should know that we both have high expectations and we expect each and every one of you to give your best effort. Some lessons will be difficult, but all that we ask from you is that you try your very best. The first half of the year is quite full-on as many of you will undertake your 11+ exams and we also work hard to prepare you for the SATs. However, there are also plenty of things to look forward to such as Bikeability and our end of year production, which we know that you will enjoy.
Your task now is to write a letter to your new class teacher, telling them all about yourself! Your letter should include information regarding your family, your friends, your interests/ hobbies and your favourite subjects. This will also be a good opportunity for you to ask any questions about Year 6 or voice any worries you may have regarding September. We would also like you to consider some goals for the year ahead. One should be academic (for example, ‘I want to learn all of my times tables up to 12 x 12) and one should be more personal (such as, ‘I want to put my hand up more in lessons’).
Finally, one of the most exciting things about Year 6 is that you have the chance to become a school prefect. Please have a look at the list of jobs on the PowerPoint attached and let us know which job you would like to undertake and why.
We look forward to learning more about you and can’t wait to see you in September!
Miss Facey and Mr Catchpole